Chapter 4

Bruno's request causes Helena to close her eyes, allowing herself to return to the moment that led her there.

— Open your eyes, Lena. - Ask the mother of Helena making her daughter open her eyes in front of the mirror.

Regina sighs to see her daughter dressed beautifully in that white princess style dress full of lace, the way the mother of the bride had imagined. Helena could even say she was surprised, but she would lie, because, knowing her mother, she knew that the dress would not come out less than perfect.

In fact, perfect was the motto of Helena who, since childhood, was sure of how her life would be. Or rather, the life imposed by Regina on Helena since the night that Augusto, father of the young woman, ended the marriage with Regina, her mother, in front of her children. Marcelo was younger and little understood, but the girl understood very well the discussion of the parents that at a certain point culminated in the dialogue that forever changed the life of his family:

— So say, Augustus, what do you want from me?

— What I want is a selfless, submissive wife who treats me as the man I am! I am the head of this family and not you!

—Funny, I thought, to be the boss of something needed to work and earn money! And in case you do neither! It is I who unfold for this family to have something to eat!

—Yes, because even that, Regina, you took it for yourself! Enough, I'm tired of being the laughingstock of my friends. I need a wife who listens to me, who follows my orders and doesn't question me… And you're not capable of it. So enough, I'm leaving.

And that's how Helena's father left the scene and gave way to the child's mother doing everything to turn the daughter into the woman idealized by Augusto. First, Helena should focus on studies, because that way she could enter law school, but should not practice, because it would be just something to put her in the right circle to meet her husband to whom she would dedicate her life as a housewife.

Something that unfortunately her mother can not do, because when Helena's father left, the last thing Regina was able to do was take care of her children at home. Helena saw all her mother's suffering and promised herself that she would not go through it. No, she just had to follow the script drawn up by Regina. And so he did, in the second year of college he met Leandro, heir to a hotel chain that did administration. Since they saw each other, they haven't let go. In a few months, she met the young man's parents who considered her a lovely young woman and worthy of a serious commitment that came soon after, at the request of Helena convinced by Regina, on Valentine's Day to be something remarkable.

The engagement was also not much different, it was on the date of their first kiss, entitled to the speech of the groom written by Helena through the influence of the mother. In fact, everything was very well orchestrated by Regina. The entire wedding organization had Regina's finger d for agony of the ceremonial team who had to deal with the schedule and the endless lists sent by email. By the way, the wedding was marked precisely on the date of the 30th anniversary of Leandro's parents' wedding. The guest list was also drawn up millimetrically with the right people, including Lena's bosses, who, according to the bride's mother, seeing her happiness would facilitate her leaving the company without her having to resign. Does it make sense? Maybe not for mere mortals, but for Regina it made perfect sense.

The honeymoon was in charge of Helena, but with many appointments of Regina, who clarified that it should be to the liking of Leandro, and so it was. Leandro has always dreamed of taking a trip to Parati and practicing his favorite sport, cycling, as well as trails, diving, surfing, and other sports activities. In fact, Parati was chosen to satisfy Leandro to know the coastal city of Rio.

Yes, Helena was fully aware that her honeymoon did not seem romantic and did not have much personality, because every time she told the script prepared people were questioning:

"Honeymoon is for the couple, what have you planned for the two of you?"

"What about the romantic part?"

"What do you want, Helena?"

"And as for you, what do you want to do?"

The only thing Helena did was smile and say that for her the plans were perfect and that the important thing was that Leandro was happy, because his happiness was yours too.

— I'm coming in.

The bedroom door opens, allowing Marcelo, his brother, to enter. He stares at her for a few moments, admired by the bridal beauty of his sister, who remains analyzing every detail of the dress in search of any defect.

— Wow, you look beautiful. - Praises Marcelo being ignored by his sister. He waves his arms towards his sister as he says: — Lena, you look beautiful… Hey, Lena! Earth calling Lena!!

—What? - Asks Lena, angry at her brother.

— I'm fine? - Asks the brother showing his black tuxedo to the sister, who makes a face. — What is it?

— Your tie is crooked. - Says the sister approaching Marcelo and practically hanging him with the tie, then she fixes the shirt, the belt and arranges the lapel. — Now, yes, less ill.

— And with you, perfect Lena. - Mocks Marcelo, receiving a glare from his sister. — Poor Leandro, who will have to put up with you for the rest of his life.

— Marcelo, leave your sister alone. - Asks Regina, serious. — Well, I think we can go now, or we'll have to pay the fine of the Sala... and the Sala São Paulo is not cheap at all.

The wedding was organized in the historical patrimony of São Paulo, headquarters of the São Paulo State Symphony Orchestra, the favorite orchestra of Leandro's parents. It's okay that watching the Orchestra was not something within the reality of Helena, but Regina convinced her to attend to please her in-laws and now the daughter will marry in Sala São Paulo.

— Marcelo. - Calls Helena watching her mother arrange the bouquet of red roses that symbolized the first rose given by Leandro to Helena. The brother faces the young man with the face of a few friends: — You who had the audacity to take my fiancé at a bachelor party, checked if he is okay?

— The bachelor party that you and Mom forced me to end at ten o'clock at night, with no kind of alcohol? If you're talking about this, don't worry, I left your fiancé home safe and sound. There's nothing to worry about.

— Okay, he needs to be in the São Paulo Room at 6 p.m.. - Says Regina, staring at his notebook. — We still have the photos in thirty minutes.

— Great. - Says Helena, staring at the mirror while making some faces for him.

— But what is it? - Asks Marcelo, bothered by his sister's expressions. — What are you doing?

—Your sister is training expressions for marriage. - Replies Regina in place of the daughter. — She can not go out in the photos of the horrific wedding. The service of the photographer is very expensive.

—It was just hiring a cheaper guy. By the way, this marriage could be much cheaper... – Marcelo comments, throwing himself on the couch. — Greater waste of money, all this. And for what? For people to eat, drink and will still talk badly about everything! I don't know, so much better to invest…

—All right, Marcelo. I've heard your litany a thousand times ! - Lena reacts, irritated. She turns to her brother and continues: — But I want this! I want a pompous and expensive wedding!

— Do you want to, or does Dona Regina want to? - Provokes Marcelo receiving a staring from his mother.

—Marcelo, go find what to do. This is not the time for you to annoy your sister. She needs to get calm in the church. - Says Regina approaching her son and pulling him from the couch. — So, go. See if everything is in order out there. Come on!

—Ok, ok... – Marcelo speaks facing his sister. —Sister, if you want to get out of this captivity, blink twice.

—Get out of here! - Shouts Helena to the brother who walks laughing towards the door.

She returns to face the mirror, training her expressions as her mother continues to go through the wedding schedule. The two are concentrated when the door opens again:

— What do you want, Marcelo? - Helena speaking away from the mirror. When she looks towards the door, it finds the figure of her fiancé wearing jeans polo shirt, very different from what was chosen for the wedding. — Leandro, what are you doing here?

—Lena, we need to talk. - Answer Leandro, seriously.

— Leandro, my dear? What is this? - Regina asks, surprise, approaching. — It is inappropriate for the groom to see the bride before the wedding.

— Miss Regina, I need to talk to Lena.

— What do you have to talk about with my daughter just before the wedding? - Asks Regina, controlling her irritation. — What subject would be so important that it cannot wait until after the ceremony?

—If I can't talk to Lena now, there probably won't be a wedding. - Leandro explains, seriously.

—All right, say what you have to say. - Asks Regina, opening her notebook.

—I want to talk to my fiancée alone. - Says Leandro, angry. — Can I?

— Leandro, dear... there's nothing you need to talk to my daughter about that I can't be there for.

— That's exactly the problem: you. - Says Leandro facing his mother-in-law and then his fiancée: — Helena, can you ask your mother to leave, so we can talk, or even this I will have to do for you?

— Mom, please leave us alone. - Ask Helena for mother who faces her, surprise. Regina could have sworn that Helena would defend her from Leandro's harsh speech. The daughter faces Regina asking once again: — Please.

—Okay. - Agree Regina facing the clock. —However, be brief, because we have only twenty-five minutes before we start with the photos.

Regina walks slowly through space taking her purse, while hoping that Leandro would start the matter in her presence, something that did not happen. Then she leaves the couple alone. Helena faces the groom, serious, as she says:

— You don't have to treat my mother like that.

— Really? I wanted you alone; she wanting to meddle and I leave as wrong? Again I'm wrong? - Asks Leandro, angry. — I am so tired.

—Tired? - Asks Helena without understanding. — Tired of what? From yesterday's party ? I told Marcelo not to make this farewell party... I knew it wouldn't work...

—No, it's not that. I'm tired of everything. I'm tired of this marriage, your mother... I'm tired of you! - Release Leandro making the eyes of his bride widen towards him. — I'm tired of us!

— Leandro, you must be nervous. - Helena speaks, ignoring the speech of her fiancé and approaching him. She holds her fiancé's face between her hands, forcing him to face her. He had trained this with his mother, when the groom could get so nervous that he could consider giving up the marriage. And this, according to Regina, was undeniable. — It happens every groom on the eve of the wedding. Do not worry, everything will be fine. You just need to come home, get ready, wait for me at the altar. You see that it is as it should be.

—Lena, why do you want to marry me? - Leandro asks, seriously. — Be honest: why are you marrying me?

—Because it's right, silly. - Says Helena, smiling at his answer. That was obvious.

— Just for that? - Asks Leandro, dissatisfied with the answer.

— What do you mean, "just for that"? That's exactly why I'm marrying you. Because we've been together a long time and it's only natural that we get married. My mother kept insisting, remember? Those who date a lot do not marry, were her words. And her mother also wanted. - Helena says that it surprised her to see Leandro take his hands away from his face. — What was it? Wasn't that the answer you wanted?

—And you? Did you wish to marry me?

—Of course, Leandro. - Helena replies by adjusting the brown strands that seemed to want to loosen in the hairstyle. —Why the question?

— Because I did not want... And I do not want to get married now. - Reveals Leandro, leaving his bride in shock.

— What? What? Why? - Helena asks, looking for the sofa to sit on. — Why?

— Helena, I always said that I wanted to marry for love. - Begins Leandro facing his bride. — So I can not marry you... Because I don't love you. And after yesterday, from the conversation I had with your brother, you don't love me either...

— What did you have yesterday? What did my brother say to you? - Helena asks, irritated.

— Nothing, your brother said nothing I didn't already know. Helena, you don't want to marry me.

—I do. - Responds Helena, already in tears.

—No, you don't.

— Please, Leandro, I said I want to.

—Helena, what you want is to fulfill the crazy plan that your mother created for your life. - Leandro speaks. — In fact, everything. Our dating, our engagement, our marriage... Everything! Everything is being followed according to this crazy plan of your mother! Helena, what do you want from life?

—I want you to!

— After we are married, you will quit your job and stay at home, taking care of our children and me. Serving me like I'm the magnanimous one. You didn't even consult me about it to see if I wanted to.

— That's what every man wants. - Rebate Helena, wiping the tears. — Every man...

—No, I don't want a woman like that. - Hit Leandro.

+++
11
Properties=species:S:1:pos:R:3:mulliken_charge:R:1 method="wB97M-V/def2-TZVPD" lumo_ev=0.980 largest_force_ev_per_a=3.0 e_homo_ev=-9.472 mol_weight_g_mol=100.55 de_lowest_ev=1.760 e_tot_ha=-653.616094 homo_lumo_gap_ev=10.452 smiles="C#CC/C=C/Cl" multiplicity=1
C -1.37480 1.48774 1.16105 0.02
C -0.90714 0.37550 0.99560 -0.42
C -0.31192 -0.89970 0.64915 -0.41
C 0.50776 -0.80805 -0.60999 -0.29
C 0.98459 0.35220 -1.05951 -0.24
Cl 2.02217 0.34392 -2.49134 -0.21
H -1.82148 2.42800 1.19400 0.42
H -1.05056 -1.65121 0.48473 0.28
H 0.43101 -1.23763 1.42637 0.23
H 0.72172 -1.71070 -1.18170 0.31
H 0.79865 1.31991 -0.56837 0.31
+++

— Okay, so I work, no problem. - Says Helena, smiling at Leandro.

— You know, you acting this way with your mother, you just showed me how shallow you are. Helena, ask yourself what you want out of life? How do you want to live? What do you want? Who are you?

— Okay, okay, I do it. If I'm gonna have you, I will do it. Now go home and get ready, okay? We have little time until the wedding.

—No, you're not understanding. It's not for me, but for you. - Explains Leandro touching Helena's face. — Lena, go after who you are.

Leandro offers a kiss on Helena's forehead and then walks away, leaving his bride sitting on the couch.